### Contents
ScIrBr2: relaxed, PBEsol.

Results
Its space group is P4mm, No. 99. The uncorrected formation energy comes out at -42.24 kJ/mol of atoms.

Lattice parameters (Å, degrees): 3.138 3.138 8.569 90.00 90.00 89.99
Atoms (fractional coordinates):
Br (0.000, 0.000, 0.067)
Br (0.500, 0.500, 0.686)
Ir (0.000, 0.000, 0.471)
Sc (0.500, 0.500, 0.277)

----------

A relaxed CsScTeO4 crystal, computed with PBE-GGA.

a = 6.012 Å, b = 6.081 Å, c = 7.902 Å
α = 90.00°, β = 101.85°, γ = 90.00°
Space group P2_1/m (No. 11)
One atom of each set of equivalent atoms:
Cs1 0.123 0.250 0.137 [2 per cell]
Sc1 0.145 0.750 0.460 [2 per cell]
Te1 0.409 0.250 0.697 [2 per cell]
O1 0.165 0.024 0.629 [4 per cell]
O2 0.223 0.750 0.227 [2 per cell]
O3 0.483 0.250 0.475 [2 per cell]

Computed properties:
Energy relative to the elements, uncorrected in kcal/mol of atoms: -46.2
Final energy in eV/atom: -6.313
N(E_F) in states/eV/atom: 0.00

----------

Entry 1:
PuScNb: relaxed, PBE-GGA.

## Properties
crystal system	cubic
energy above the lowest structure with this stoichiometry	0	meV per atom
ΔE_f	0.692	eV per atom

Lattice parameters (Å, degrees): 6.525 6.525 6.525 90.00 90.00 90.00
Space group F-43m (No. 216)
One atom of each set of equivalent atoms:
Pu 0.000 0.000 0.000 [4 per cell]
Sc 0.000 0.000 0.500 [4 per cell]
Nb 0.250 0.250 0.250 [4 per cell]

=====

Entry 2:
LiLuCoB: relaxed, PBE-GGA.

## Properties
crystal system	cubic
energy above the lowest structure with this stoichiometry	0	meV per atom

Lattice parameters (Å, degrees): 5.869 5.869 5.869 90.00 90.00 90.00
Space group F-43m (No. 216)
One atom of each set of equivalent atoms:
Li 0.000 0.000 0.000 [4 per cell]
Lu 0.250 0.250 0.250 [4 per cell]
Co 0.250 0.250 0.750 [4 per cell]
B 0.000 0.000 0.500 [4 per cell]

=====

Entry 3:
BaErMgS3: relaxed, PBE-GGA.

## Properties
crystal system	orthorhombic
raw total energy	-5.087	eV/atom

Lattice parameters (Å, degrees): 4.037 14.047 10.420 90.00 90.00 90.00
Space group Cmcm (No. 63)
One atom of each set of equivalent atoms:
Ba 0.000 0.245 0.250 [4 per cell]
Er 0.000 0.500 0.000 [4 per cell]
Mg 0.000 0.032 0.750 [4 per cell]
S 0.000 0.131 0.562 [8 per cell]
S 0.000 0.433 0.750 [4 per cell]

=====

Entry 4:
ZnAgBr3: relaxed, PBE-GGA.

## Properties
crystal system	cubic
raw total energy	-2.103	eV/atom

Lattice parameters (Å, degrees): 5.174 5.174 5.174 90.00 90.00 90.00
Space group Pm-3m (No. 221)
One atom of each set of equivalent atoms:
Zn 0.000 0.000 0.000 [1 per cell]
Ag 0.500 0.500 0.500 [1 per cell]
Br 0.000 0.000 0.500 [3 per cell]

=====

Entry 5:
NaCuGeTe2S: relaxed, PBE-GGA.

## Properties
crystal system	orthorhombic
raw total energy	-3.620	eV/atom

Lattice parameters (Å, degrees): 4.021 12.912 10.815 90.00 90.00 90.00
Space group Cmcm (No. 63)
One atom of each set of equivalent atoms:
Na 0.000 0.214 0.250 [4 per cell]
Cu 0.000 0.040 0.750 [4 per cell]
Ge 0.000 0.500 0.000 [4 per cell]
Te 0.000 0.156 0.543 [8 per cell]
S 0.000 0.458 0.750 [4 per cell]

=====

Entry 6:
RbAg2PSe3S: relaxed, PBE-GGA.

## Properties
crystal system	monoclinic
raw total energy	-3.728	eV/atom

Lattice parameters (Å, degrees): 8.872 9.868 6.539 90.00 131.44 90.00
Space group Cm (No. 8)
One atom of each set of equivalent atoms:
Rb 0.000 0.000 0.000 [2 per cell]
Ag 0.008 0.255 0.508 [4 per cell]
P 0.012 0.500 0.029 [2 per cell]
Se 0.153 0.314 0.018 [4 per cell]
Se 0.185 0.000 0.651 [2 per cell]
S 0.051 0.500 0.377 [2 per cell]

=====

Entry 7:
Li4In2PdPt: relaxed, PBE-GGA.

## Properties
crystal system	tetragonal
raw total energy	-3.577	eV/atom

Lattice parameters (Å, degrees): 4.490 4.490 6.347 90.00 90.00 90.00
Space group P-4m2 (No. 115)
One atom of each set of equivalent atoms:
Li 0.000 0.000 0.000 [1 per cell]
Li 0.000 0.500 0.250 [2 per cell]
Li 0.500 0.500 0.500 [1 per cell]
In 0.000 0.500 0.750 [2 per cell]
Pd 0.000 0.000 0.500 [1 per cell]
Pt 0.500 0.500 0.000 [1 per cell]

=====

Entry 8:
RbNdSi: relaxed, PBE-GGA.

## Properties
crystal system	cubic

### Assignment
The reader should reproduce the whole of the entries above verbatim.

### Done
ScIrBr2: relaxed, PBEsol.

Results
Its space group is P4mm, No. 99. The uncorrected formation energy comes out at -42.24 kJ/mol of atoms.

Lattice parameters (Å, degrees): 3.138 3.138 8.569 90.00 90.00 89.99
Atoms (fractional coordinates):
Br (0.000, 0.000, 0.067)
Br (0.500, 0.500, 0.686)
Ir (0.000, 0.000, 0.471)
Sc (0.500, 0.500, 0.277)

----------

A relaxed CsScTeO4 crystal, computed with PBE-GGA.

a = 6.012 Å, b = 6.081 Å, c = 7.902 Å
α = 90.00°, β = 101.85°, γ = 90.00°
Space group P2_1/m (No. 11)
One atom of each set of equivalent atoms:
Cs1 0.123 0.250 0.137 [2 per cell]
Sc1 0.145 0.750 0.460 [2 per cell]
Te1 0.409 0.250 0.697 [2 per cell]
O1 0.165 0.024 0.629 [4 per cell]
O2 0.223 0.750 0.227 [2 per cell]
O3 0.483 0.250 0.475 [2 per cell]

Computed properties:
Energy relative to the elements, uncorrected in kcal/mol of atoms: -46.2
Final energy in eV/atom: -6.313
N(E_F) in states/eV/atom: 0.00

----------

Entry 1:
PuScNb: relaxed, PBE-GGA.

## Properties
crystal system	cubic
energy above the lowest structure with this stoichiometry	0	meV per atom
ΔE_f	0.692	eV per atom

Lattice parameters (Å, degrees): 6.525 6.525 6.525 90.00 90.00 90.00
Space group F-43m (No. 216)
One atom of each set of equivalent atoms:
Pu 0.000 0.000 0.000 [4 per cell]
Sc 0.000 0.000 0.500 [4 per cell]
Nb 0.250 0.250 0.250 [4 per cell]

=====

Entry 2:
LiLuCoB: relaxed, PBE-GGA.

## Properties
crystal system	cubic
energy above the lowest structure with this stoichiometry	0	meV per atom

Lattice parameters (Å, degrees): 5.869 5.869 5.869 90.00 90.00 90.00
Space group F-43m (No. 216)
One atom of each set of equivalent atoms:
Li 0.000 0.000 0.000 [4 per cell]
Lu 0.250 0.250 0.250 [4 per cell]
Co 0.250 0.250 0.750 [4 per cell]
B 0.000 0.000 0.500 [4 per cell]

=====

Entry 3:
BaErMgS3: relaxed, PBE-GGA.

## Properties
crystal system	orthorhombic
raw total energy	-5.087	eV/atom

Lattice parameters (Å, degrees): 4.037 14.047 10.420 90.00 90.00 90.00
Space group Cmcm (No. 63)
One atom of each set of equivalent atoms:
Ba 0.000 0.245 0.250 [4 per cell]
Er 0.000 0.500 0.000 [4 per cell]
Mg 0.000 0.032 0.750 [4 per cell]
S 0.000 0.131 0.562 [8 per cell]
S 0.000 0.433 0.750 [4 per cell]

=====

Entry 4:
ZnAgBr3: relaxed, PBE-GGA.

## Properties
crystal system	cubic
raw total energy	-2.103	eV/atom

Lattice parameters (Å, degrees): 5.174 5.174 5.174 90.00 90.00 90.00
Space group Pm-3m (No. 221)
One atom of each set of equivalent atoms:
Zn 0.000 0.000 0.000 [1 per cell]
Ag 0.500 0.500 0.500 [1 per cell]
Br 0.000 0.000 0.500 [3 per cell]

=====

Entry 5:
NaCuGeTe2S: relaxed, PBE-GGA.

## Properties
crystal system	orthorhombic
raw total energy	-3.620	eV/atom

Lattice parameters (Å, degrees): 4.021 12.912 10.815 90.00 90.00 90.00
Space group Cmcm (No. 63)
One atom of each set of equivalent atoms:
Na 0.000 0.214 0.250 [4 per cell]
Cu 0.000 0.040 0.750 [4 per cell]
Ge 0.000 0.500 0.000 [4 per cell]
Te 0.000 0.156 0.543 [8 per cell]
S 0.000 0.458 0.750 [4 per cell]

=====

Entry 6:
RbAg2PSe3S: relaxed, PBE-GGA.

## Properties
crystal system	monoclinic
raw total energy	-3.728	eV/atom

Lattice parameters (Å, degrees): 8.872 9.868 6.539 90.00 131.44 90.00
Space group Cm (No. 8)
One atom of each set of equivalent atoms:
Rb 0.000 0.000 0.000 [2 per cell]
Ag 0.008 0.255 0.508 [4 per cell]
P 0.012 0.500 0.029 [2 per cell]
Se 0.153 0.314 0.018 [4 per cell]
Se 0.185 0.000 0.651 [2 per cell]
S 0.051 0.500 0.377 [2 per cell]

=====

Entry 7:
Li4In2PdPt: relaxed, PBE-GGA.

## Properties
crystal system	tetragonal
raw total energy	-3.577	eV/atom

Lattice parameters (Å, degrees): 4.490 4.490 6.347 90.00 90.00 90.00
Space group P-4m2 (No. 115)
One atom of each set of equivalent atoms:
Li 0.000 0.000 0.000 [1 per cell]
Li 0.000 0.500 0.250 [2 per cell]
Li 0.500 0.500 0.500 [1 per cell]
In 0.000 0.500 0.750 [2 per cell]
Pd 0.000 0.000 0.500 [1 per cell]
Pt 0.500 0.500 0.000 [1 per cell]

=====

Entry 8:
RbNdSi: relaxed, PBE-GGA.

## Properties
crystal system	cubic